## Assignment
Now copy only the last part of the notes further down, starting with the line that has "Sr3LiAs2H".
## Source
~~~
Record 1
SrZrPt2 | GGA-PBEsol | optimized geometry

Properties
The value obtained for the energy above the lowest structure with this stoichiometry is 0.222 eV per atom. The density comes out at 11.8 Mg/m³.

Cell lengths 5.1075, 5.1075, 3.0602 Å; angles 90.00, 90.00, 90.00 degrees
Space group P4/mmm (No. 123)
Inequivalent atoms, fractional coordinates:
Sr 0.0000 0.0000 0.0000
Zr 0.5000 0.5000 0.0000
Pt 0.0000 0.5000 0.5000

Record 2
HgAs2I2 | GGA-PBEsol | optimized geometry

Properties
The calculation puts the total DFT energy (no corrections) at -2.4174 eV per atom. The density comes out at 7.1 Mg/m³.

Cell lengths 8.8616, 8.8616, 3.5762 Å; angles 90.00, 90.00, 90.00 degrees
Space group P4/mbm (No. 127)
Inequivalent atoms, fractional coordinates:
Hg 0.0000 0.0000 0.0000
As 0.0992 0.4008 0.5000
I 0.1740 0.6740 0.0000

Record 3
TaTlRu2Pt | GGA-PBEsol | optimized geometry

Properties
The calculation puts the total DFT energy (no corrections) at -6.7513 eV per atom. The density comes out at 11.9 Mg/m³.

Cell lengths 4.5754, 4.5754, 5.2254 Å; angles 90.00, 90.00, 90.00 degrees
Space group P4/mmm (No. 123)
Inequivalent atoms, fractional coordinates:
Ta 0.0000 0.0000 0.0000
Tl 0.0000 0.0000 0.5000
Ru 0.0000 0.5000 0.0000
Pt 0.5000 0.5000 0.5000

Record 4
AlSi2Tc | GGA-PBEsol | optimized geometry

Properties
The calculation puts the total DFT energy (no corrections) at -6.7488 eV per atom. The density comes out at 5.6 Mg/m³.

Cell lengths 3.1046, 4.0644, 4.2534 Å; angles 90.00, 90.00, 90.00 degrees
Space group Pmmm (No. 47)
Inequivalent atoms, fractional coordinates:
Al 0.0000 0.0000 0.0000
Si 0.0000 0.5000 0.5000
Si 0.5000 0.5000 0.0000
Tc 0.5000 0.0000 0.5000

Record 5
Sr3LiAs2H | GGA-PBEsol | optimized geometry

Properties
The calculation puts the total DFT energy (no corrections) at -4.0108 eV per atom. The density comes out at 4.2 Mg/m³.

Cell lengths 11.9693, 4.4376, 12.4289 Å; angles 90.00, 90.00, 90.00 degrees
Space group Pnma (No. 62)
Inequivalent atoms, fractional coordinates:
Sr 0.0616 0.2500 0.1217
Sr 0.1308 0.7500 0.5612
Sr 0.2060 0.2500 0.7980
Li 0.1352 0.2500 0.3583
As 0.0248 0.7500 0.3235
As 0.1882 0.7500 0.9872
H 0.2373 0.2500 0.2259

Record 6
Cu3Pt2 | GGA-PBEsol | optimized geometry

Properties
The value obtained for the energy above the lowest structure with this stoichiometry is 0.062 eV per atom. The density comes out at 14.8 Mg/m³.

Cell lengths 8.8368, 12.6812, 4.6415 Å; angles 90.00, 90.00, 90.00 degrees
Space group Fdd2 (No. 43)
Inequivalent atoms, fractional coordinates:
Cu 0.0000 0.0000 0.0000
Cu 0.0335 0.4021 0.0335
Pt 0.0239 0.3021 0.5545


# BeMoIr, relaxed, DFT PBE-GGA
data_BeMoIr
_cell_length_a 2.8147
_cell_length_b 2.8147
_cell_length_c 9.6246
_cell_angle_alpha 90.00
_cell_angle_beta 90.00
_cell_angle_gamma 90.00
_symmetry_space_group_name_H-M 'I 4 m m'
_symmetry_Int_Tables_number 107
_symmetry_space_group_name_Hall 'I 4 -2'
loop_
_atom_site_label
_atom_site_fract_x
_atom_site_fract_y
_atom_site_fract_z
_atom_site_occupancy
Be1 0.0000 0.0000 0.0000 1
Mo1 0.0000 0.0000 0.6729 1
Ir1 0.0000 0.0000 0.3654 1
# total magnetic moment	0.000	μB/atom
# crystal system	tetragonal
# energy	-48.97	eV for the cell shown
# calculated volume	76.3	Å³/cell
# relative energy among the computed polymorphs	0.0000	eV per atom
# formation energy	-355	meV per atom
~~~
## Result
Sr3LiAs2H | GGA-PBEsol | optimized geometry

Properties
The calculation puts the total DFT energy (no corrections) at -4.0108 eV per atom. The density comes out at 4.2 Mg/m³.

Cell lengths 11.9693, 4.4376, 12.4289 Å; angles 90.00, 90.00, 90.00 degrees
Space group Pnma (No. 62)
Inequivalent atoms, fractional coordinates:
Sr 0.0616 0.2500 0.1217
Sr 0.1308 0.7500 0.5612
Sr 0.2060 0.2500 0.7980
Li 0.1352 0.2500 0.3583
As 0.0248 0.7500 0.3235
As 0.1882 0.7500 0.9872
H 0.2373 0.2500 0.2259

Record 6
Cu3Pt2 | GGA-PBEsol | optimized geometry

Properties
The value obtained for the energy above the lowest structure with this stoichiometry is 0.062 eV per atom. The density comes out at 14.8 Mg/m³.

Cell lengths 8.8368, 12.6812, 4.6415 Å; angles 90.00, 90.00, 90.00 degrees
Space group Fdd2 (No. 43)
Inequivalent atoms, fractional coordinates:
Cu 0.0000 0.0000 0.0000
Cu 0.0335 0.4021 0.0335
Pt 0.0239 0.3021 0.5545


# BeMoIr, relaxed, DFT PBE-GGA
data_BeMoIr
_cell_length_a 2.8147
_cell_length_b 2.8147
_cell_length_c 9.6246
_cell_angle_alpha 90.00
_cell_angle_beta 90.00
_cell_angle_gamma 90.00
_symmetry_space_group_name_H-M 'I 4 m m'
_symmetry_Int_Tables_number 107
_symmetry_space_group_name_Hall 'I 4 -2'
loop_
_atom_site_label
_atom_site_fract_x
_atom_site_fract_y
_atom_site_fract_z
_atom_site_occupancy
Be1 0.0000 0.0000 0.0000 1
Mo1 0.0000 0.0000 0.6729 1
Ir1 0.0000 0.0000 0.3654 1
# total magnetic moment	0.000	μB/atom
# crystal system	tetragonal
# energy	-48.97	eV for the cell shown
# calculated volume	76.3	Å³/cell
# relative energy among the computed polymorphs	0.0000	eV per atom
# formation energy	-355	meV per atom